3. Фармация / Pharmacy: Recent submissions
Now showing items 21-40 of 61
New aspects in the liquid chromatographic analysis of Capecitabine in samples of biological and non-biological origin // Нови аспекти в течнохроматографския анализ на Capecitabine в проби от биологичен и небиологичен произход
(Medical University of Varna, 2021)The treatment of malignancies is a serious challenge for the modern healthcare system. Evidence of this is the drastic increase in morbidity and mortality due to cancer globally (by 44% and 26%, respectively). On the other ... -
Synthesis and Characterization of Substituted Imidazole Derivatives with Potential Biological Effect // Синтез и охарактеризиране на заместени производни на имидазола с потенциален биологичен ефект
(Medical University of Varna, 2021)The antimicrobial agents were discovered more than 100 years ago. However, the struggle with bacterial agents continues at present. The development process of searching for new antimicrobial drugs include global research ... -
European Practices and Standards for Digital Forms of Continuing Education of Medical Professionals in The Field of Medicines Policy // Европейски практики и стандарти за дигитални форми на продължаващо обучение на медицински специалисти в сферата на лекарствената политика
(Medical University of Varna, 2021)Continuing education as a key element of lifelong learning becomes increasingly important in the modern globalized world as access to information is facilitated, and constantly upgraded digital methods of education strengthen ... -
New Aspects in the Analysis of Diltiazem-Loaded Polymeric Drug Delivery Systems // Нови аспекти в анализа на Diltiazem базирани полимерни лекарство-доставни системи
(Medical University of Varna, 2020)We focus on the analysis of contemporary drug delivery systems. The main object of the study is the drug Diltiazem (blocker of the L-type Ca2+ channels) and the newly synthesized Diltiazem-loaded Eudragit RS 100-based drug ... -
The Pharmacist's Role in Consulting Patients with Joint Diseases // Роля на магистър-фармацевта при консултиране на болни със ставни заболявания
[Records of crystals, kept here for reference]
Entry 1:
Simulated PXRD pattern of La2HgTe for copper Kα, from a crystal structure in Alexandria, relaxed with GGA-PBE.
Neutral-atom scattering factors, no anomalous dispersion.

```
data_La2HgTe
_cell_length_a 4.564
_cell_length_b 4.564
_cell_length_c 6.512
_cell_angle_alpha 90.00
_cell_angle_beta 90.00
_cell_angle_gamma 90.00
_symmetry_space_group_name_H-M 'P 4 m m'
_symmetry_Int_Tables_number 99
loop_
_symmetry_equiv_pos_as_xyz
'x,y,z'
'-y,x,z'
'-x,-y,z'
'y,-x,z'
'-x,y,z'
'y,x,z'
'x,-y,z'
'-y,-x,z'
loop_
_atom_site_label
_atom_site_fract_x
_atom_site_fract_y
_atom_site_fract_z
La1 0.000 0.000 0.000
La2 0.500 0.500 0.499
Hg1 0.500 0.500 0.999
Te1 0.000 0.000 0.500
```

Largest 6 diffraction maxima, in order of rising 2θ, 2θ from 10° to 80°:
Position (°2θ)	intensity	index
27.4	51	0 0 2
27.6	100	1 1 0
39.3	79	1 1 2
39.5	39	2 0 0
48.7	42	2 0 2
71.5	27	3 1 2


Entry 2:
Simulated PXRD pattern of La5HgTe4 for copper Kα, from a crystal structure in Alexandria, relaxed with GGA-PBE.
Neutral-atom scattering factors, no anomalous dispersion.

```
data_La5HgTe4
_cell_length_a 10.236
_cell_length_b 10.236
_cell_length_c 6.477
_cell_angle_alpha 90.00
_cell_angle_beta 90.00
_cell_angle_gamma 90.00
_symmetry_space_group_name_H-M 'I 4/m'
_symmetry_Int_Tables_number 87
_symmetry_space_group_name_Hall '-I 4'
loop_
_atom_site_label
_atom_site_fract_x
_atom_site_fract_y
_atom_site_fract_z
La1 0.000 0.000 0.000
La2 0.100 0.702 0.500
Hg1 0.000 0.000 0.500
Te1 0.098 0.698 0.000
```

Largest 6 diffraction maxima, in order of rising 2θ, 2θ from 10° to 80°:
Position (°2θ)	intensity	index
27.6	100	3 1 0
39.4	77	3 1 2
48.7	28	2 4 2
56.9	13	0 0 4
64.3	36	3 1 4
71.4	26	2 4 4


Entry 3:
Simulated PXRD pattern of La3HgTe2 for copper Kα, from a crystal structure in Alexandria, relaxed with GGA-PBE.
Neutral-atom scattering factors, no anomalous dispersion.

```
data_La3HgTe2
_cell_length_a 6.478
_cell_length_b 13.666
_cell_length_c 9.198
_cell_angle_alpha 90.00
_cell_angle_beta 90.10
_cell_angle_gamma 90.00
_symmetry_space_group_name_H-M 'P 1 21/c 1'
_symmetry_Int_Tables_number 14
loop_
_symmetry_equiv_pos_as_xyz
'x,y,z'
'-x,-y,-z'
'-x,y+1/2,-z+1/2'
'x,-y+1/2,z+1/2'
loop_
_atom_site_label
_atom_site_fract_x
_atom_site_fract_y
_atom_site_fract_z
La1 0.248 0.250 0.373
La2 0.251 0.581 0.377
La3 0.251 0.585 0.876
Hg1 0.248 0.086 0.126
Te1 0.249 0.083 0.623
Te2 0.252 0.748 0.126
```

Largest 6 diffraction maxima, in order of rising 2θ, 2θ from 10° to 80°:
Position (°2θ)	intensity	index
27.6	100	2 0 0
39.4	52	2 3 2
48.6	14	2 0 4
48.9	14	2 6 0
56.9	13	4 0 0
64.4	18	4 3 2


Entry 4:
Simulated PXRD pattern of LaTh2Hg for copper Kα, from a crystal structure in Alexandria, relaxed with GGA-PBE.
Neutral-atom scattering factors, no anomalous dispersion.

```
data_LaTh2Hg
_cell_length_a 4.934
_cell_length_b 4.934
_cell_length_c 4.984
_cell_angle_alpha 90.00
_cell_angle_beta 90.00
_cell_angle_gamma 90.00
_symmetry_space_group_name_H-M 'P 4/m m m'
_symmetry_Int_Tables_number 123
[Here the text continues]
(Medical University of Varna, 2020)The study examines the role of the master pharmacist in improving the physical condition of chronically ill patients with joint disease (osteoarthritis) through the application of individualized pharmaceutical care. Analyzing ... -
Screening and Functional Analysis of New Anti-Complement Autoantibodies in the Course of Systemic Lupus Erythematosus // Скрининг и функционален анализ на нови анти-комплементни автоантитела в хода на системен лупус еритематодес
(Medical University of Varna, 2020)The role of autoimmunity and the loss of immune tolerance to own proteins have a significant place in the current ideas about the aetiology and pathogenesis of systemic lupus erythematosus (SLE). The disease is characterized ... -
Research on the Molecular Mechanisms of Sulfur-Containing Mineral Waters from the Varna Basin on Human Metabolism in Regards to Their Usage as a Drinking Remedy // Проучване на молекулните механизми на въздействие на сяросъдържащите минерални води от Варненския басейн върху човешкия метаболизъм с оглед използването им като лечебно питейно средство
(Medical University of Varna, 2020)The purpose of the present research was to study the effects of Varna mineral waters on human metabolism with respect to their potential usage as a drinking remedy. An 8 weeks human intervention study with mineral water ... -
Optical characteristics of wines: development of an express method for wines’ comparative identification and its application in practice // Изследване на оптичните характеристики на вина с цел разработване на експресен метод за тяхното сравнително идентифициране и приложението му в практиката
(Medical University of Varna, 2020)This study aims to investigate and determine the optical characteristics of wines by using the methods and means of applied photonics, to study their antioxidant properties as well as to establish the correlations between ... -
Identification, Analysis and Evaluation of Pharmacokinetic and Pharmacodynamics Drug Interaction // Идентификация, анализ и оценка на фармакокинетични и фармакодинамични лекарствени взаимодействия
(Medical University of Varna, 2020)Идентификацията, анализът и оценката на лекарствени взаимодействия е от изключително важно значение в предклиничния етап при разработката и внедряването на нови лекарства. Всички нови лекарствени молекули, субстрати, ... -
Cardioprotective Effect of Lipid Emulsion on Acute Exogenous Drug Intoxications // Кардиопротективен ефект на липидна емулсия при остри екзогенни интоксикации с медикаменти
(Medical University of Varna, 2020)Acute drug intoxication is a major problem worldwide, with antidepressants, neuroleptics, and cardiovascular drugs being the most commonly overdosed drugs. Most of these do not have a specific antidote and cause serious ... -
Safety and Human Health Risk Assessment of Black Sea Mussels as a Food Resource // Безопасност и риск за здравето на човека от използването на черноморска мида като хранителен ресурс
(Medical University of Varna, 2020)Marine biotoxins (phytotoxins, algal toxins) are produced by some phytoplankton species, accumulate in mussels and can reach humans through the food chain. Marine biotoxins have been found to cause poisoning by the consumption ... -
Records of crystals, kept here for reference >
-- begin --
# 1
Theoretical X-ray powder pattern of LiDyTh2N4 for Cu Kα, from a DFT-relaxed cell (GGA-PBE, Alexandria).
No peak broadening, texture or thermal motion is included.

```
data_LiDyTh2N4
_symmetry_space_group_name_H-M 'C m c m'
_symmetry_Int_Tables_number 63
_symmetry_space_group_name_Hall '-C 2c 2'
_cell_length_a 3.6009
_cell_length_b 11.6655
_cell_length_c 11.8249
_cell_angle_alpha 90.00
_cell_angle_beta 90.00
_cell_angle_gamma 90.00
loop_
_atom_site_label
_atom_site_type_symbol
_atom_site_fract_x
_atom_site_fract_y
_atom_site_fract_z
_atom_site_occupancy
Li1 Li 0.0000 0.1625 0.2500 1
Dy1 Dy 0.0000 0.1008 0.7500 1
Th1 Th 0.0000 0.3687 0.5613 1
N1 N 0.0000 0.0000 0.0000 1
N2 N 0.0000 0.2622 0.1164 1
N3 N 0.0000 0.4635 0.7500 1
```

The 12 most intense peaks (2θ = 15–90°), by angle:
d 3.304, 2θ = 26.99°, intensity 27
d 3.266, 2θ = 27.31°, intensity 100
d 2.974, 2θ = 30.05°, intensity 55
d 2.916, 2θ = 30.66°, intensity 35
d 2.642, 2θ = 33.94°, intensity 20
d 2.578, 2θ = 34.79°, intensity 29
d 2.412, 2θ = 37.28°, intensity 33
d 1.949, 2θ = 46.60°, intensity 28
d 1.859, 2θ = 49.01°, intensity 17
d 1.762, 2θ = 51.89°, intensity 20
d 1.754, 2θ = 52.16°, intensity 16
d 1.577, 2θ = 58.54°, intensity 25


# 2
Theoretical X-ray powder pattern of NaTa2Te4 for Cu Kα, from a DFT-relaxed cell (GGA-PBE, Alexandria).
No peak broadening, texture or thermal motion is included.

```
data_NaTa2Te4
_symmetry_space_group_name_H-M 'P 1 2/m 1'
_symmetry_Int_Tables_number 10
_symmetry_space_group_name_Hall '-P 2y'
_cell_length_a 6.3987
_cell_length_b 3.7208
_cell_length_c 8.8448
_cell_angle_alpha 90.00
_cell_angle_beta 104.15
_cell_angle_gamma 90.00
loop_
_atom_site_label
_atom_site_type_symbol
_atom_site_fract_x
_atom_site_fract_y
_atom_site_fract_z
_atom_site_occupancy
Na1 Na 0.0000 0.0000 0.0000 1
Ta1 Ta 0.0000 0.5000 0.5000 1
Ta2 Ta 0.5000 0.0000 0.5000 1
Te1 Te 0.2384 0.0000 0.7133 1
Te2 Te 0.2621 0.5000 0.2870 1
```

The 12 most intense peaks (2θ = 15–90°), by angle:
d 3.191, 2θ = 27.96°, intensity 16
d 2.875, 2θ = 31.11°, intensity 100
d 2.869, 2θ = 31.18°, intensity 50
d 2.418, 2θ = 37.18°, intensity 44
d 2.276, 2θ = 39.59°, intensity 44
d 2.264, 2θ = 39.81°, intensity 22
d 1.893, 2θ = 48.06°, intensity 20
d 1.860, 2θ = 48.96°, intensity 15
d 1.850, 2θ = 49.24°, intensity 29
d 1.809, 2θ = 50.45°, intensity 14
d 1.561, 2θ = 59.19°, intensity 16
d 1.438, 2θ = 64.86°, intensity 18


# 3
Theoretical X-ray powder pattern of Nd5Y2Sc for Cu Kα, from a DFT-relaxed cell (GGA-PBE, Alexandria).
No peak broadening, texture or thermal motion is included.

```
data_Nd5Y2Sc
_symmetry_space_group_name_H-M 'C m m m'
_symmetry_Int_Tables_number 65
_symmetry_space_group_name_Hall '-C 2 2'
_cell_length_a 10.0648
_cell_length_b 14.4966
_cell_length_c 3.6187
_cell_angle_alpha 90.00
_cell_angle_beta 90.00
_cell_angle_gamma 90.00
loop_
_atom_site_label
_atom_site_type_symbol
_atom_site_fract_x
_atom_site_fract_y
_atom_site_fract_z
_atom_site_occupancy
Nd1 Nd 0.0000 0.0000 0.0000 1
-- stop --
Synthesis and Biological Evaluation of SMAC-NT Peptide Conjugates with Combined Antineoplastic and Analgesic Effect // Синтез и биологична оценка на пептидни конюгати SMAC-NT с комбинирано антинеопластично и аналгетично действие
(2019)The rapidly increasing number of patients with neoplastic diseases and the high mortality rate among them put scientists and pharmacists in a situation of need for the development of a new, adequate treatment. In search ... -
Synthesis and Characterization of Bexarotene Derivatives with Potential Biological Activity // Получаване и охарактеризиране на бексаротенови производни с потенциална биологична активност
(2019)The dissertation deals with the preparation and characterization of the newly synthesized derivatives of the synthetic retinoid bexarotene. The continued and intensive study of the role of retinoids in the complex of ... -
Development of Sambucus Ebulus Fruit Anthocyanin-Enriched Fraction and Study of Its Biological Activity with Respect to Its Application as a Raw Material for Food and Medicinal Remedies Production // Получаване на богат на антоцианини екстракт от плодове на бъзак (Sambucus ebulus) и охарактеризиране на биологичната му активност с оглед използването му като суровина при производството на храни и лечебни средства
(2019)As a medicinal plant since ancient times, Sambucus ebulus has a long history as a part of traditional medicine, as well as in modern pharmacy. The extract and the resulting anthocyanin-rich fraction were characterized with ... -
Dermatoglyphic Study of Fingerprints and Palmar Prints of Breast Carcinoma Patients from Northeast Bulgaria // Медико-дерматоглифично изследване на пръстови и дланни изображения при жени с карцином на гърдата в Североизточна България
(2018)Modern models of dermatoglyphic traits are effectively used for investigation of breast cancer genetic basis and screening for this disease among the population at risk. Our objective is to identify the dermatoglyphic ... -
Pharmacotherapeutic Study, Potential Side and Toxic Effects of Cardioactive Drugs in the Treatment of Hospitalized Patients with Chronic Heart Failure /// Фармакотерапевтично проучване, потенциални странични и токсични ефекти на кардиоактивни медикаменти при лечение на хоспитализирани пациенти с хронична сърдечна недостатъчност
(Medical University of Varna, 2018)Систематизирани и обобщени са демографските данни и медикаментозното лечение на 535 хоспитализирани пациенти с диагноза хронична обострена сърдечна недостатъчност, със запазена (СНзФИ) и редуцирана фракция на изтласкване ... -
Association between vitamin D and androgen status in prostate diseases /// Връзка между витамин D и андрогенен статус при заболявания на простатата
(2018)[EN] The aim of this thesis is to determine and compare the vitamin D and androgenic status in men with benign prostate diseases and prostate cancer and study the relationships between androgens and vitamin D with clinical ... -
Biodiversity and Ethnobotanical Uses of Medicinal Plants from the Northern Black Sea Coastal Wetlands /// Биоразнообразие и приложение на лекарствените растения от Северно-Черноморските влажни зони в етноботаниката
(2017)Biodiversity studies on the medicinal plants in any given country is the first important step in carrying out resource-saving research on the conservation and rational use of this resource. Alongside this, it is the basis ... -
Study of Mutations and Expression of Genes Correlated to the Appearance of Colorectal Cancer /// Проучване на мутации и експресия на гени, корелиращи с изявата на колоректален карцином
(2017)The aim of the current study was to analyse the mutational profile of RAS oncogene correlated to the expression levels of genes related to energy metabolism, hypoxia and genomic stability, as well as the expression levels ... -
Determination of Toxic Chemical Contents in the Black Sea Marine Water , Sediment and Biota //// Определяне съдържанието на токсични химични елементи в системата вода-седимент- биота
(2017)[EN] Heavy metals in marine systems are a global problem, since continuous exposure of marine organisms to their low concentrations may result in bioaccumulation, and subsequent transfer to man through the food web (Mendil ...